Chapter 61

Name:You Cultivate, I Farm Author:
Chapter 61

"A set of three mature first-grade Crimson Cloud Pine nuts, a second-grade Lihuo Sword Manual, and the Complete Guide to Basic Talismans."

"The Sword Grass and the Dark Marrow Fungus are both second-grade, unlike the common Crimson Cloud Pine. The rewards from their mature forms are sure to be impressive," thought Lu Xuan to himself.

Over the next two or three days, he kept the Mist Veil Array open, carefully observing the immediate status of numerous spirit plants, ensuring no infiltration of aberrant Gnawing Spirit Insects.

The remaining twenty-six stalks of Spirit Firefly Grass all matured during this time.

Among them, nine were of good quality, thirteen were of superior quality, and the remaining four were of perfect quality.

After harvesting the Spirit Firefly Grass, twenty-six white orbs appeared.

Six were cultivation rewards: three were for six months, two for nine months, and one for a year, granting Lu Xuan a total of four years' worth of cultivation.

Within his meridians and Dantian, spiritual energy surged like tumultuous waves, taking a long while to slowly settle down.

Gaining four years of cultivation out of thin air propelled Lu Xuan's strength significantly forward, nearing the seventh stage of Qi cultivation.

Additionally, twelve white orbs yielded twelve first-grade talismans, mainly Sword Qi and Evil Expulsion talismans, mixed with two or three other talismans like the Explosive Flame talisman.

The quantity of first-grade talismans accumulating in his storage bag was increasing. Lu Xuan estimated that if used collectively, their power wouldn't be inferior to a full-powered strike from a high-level Qi cultivator.

Furthermore, there were four first-grade Primordial Nourishing Pills, two skill experience packets for the Earth Attraction and Wood Growth techniques.

Lu Xuan absorbed them, enhancing his comprehension of the two techniques.

The remaining two white orbsone revealed the formula for a first-grade Primordial Nourishing Pill, and the other produced a drop of Grass Spirit Essence.

Lu Xuan tucked it into the lump on the head of his straw puppet.

"Let's celebrate your complete recovery. Next, it's back to guarding the spiritual field," he remarked.

In no time, the gray lump on the straw puppet's head swiftly turned green, commencing a new round of patrolling the spiritual field.

Empowered by the Grass Spirit Essence, Lu Xuan felt its strides were now more forceful.

After a few days, the serpent-like monster blood he'd pre-ordered from the Wandering Market arrived as promised.

The text is interrupted by molecular data:
┌──
No. 1
A structure of composition C3H7NORb, computed with the ωB97M-V functional and the def2-TZVPD basis.

Computed properties:
**Frontier orbital gap**: 9.4950 eV
**DFT total energy**: -272.42397 a.u.
**Charge**: +1

Last column: natural (NBO) charge in e.
Geometry (Å):
Rb: -9.5603 9.9594 1.0101  1.00
C: -7.5891 13.5869 0.8805  -0.71
C: -6.9615 12.4500 0.1288  0.68
O: -7.6636 11.5840 -0.4125  -0.74
N: -5.6283 12.4044 0.0301  -0.58
C: -4.6488 13.3813 0.4667  -0.42
H: -6.9219 14.0515 1.6000  0.23
H: -8.4825 13.2239 1.3831  0.22
H: -7.9003 14.3522 0.1680  0.26
H: -5.2789 11.6576 -0.5531  0.41
H: -3.6859 12.8876 0.5620  0.23
H: -4.9019 13.7747 1.4489  0.21
H: -4.5604 14.2131 -0.2318  0.21



No. 2
A structure of composition C40H35As2CdF3NO7PSSe2 at a distorted geometry, computed with the ωB97M-V functional and the def2-TZVPD basis.

Computed properties:
**Frontier orbital gap**: 5.9875 eV
**DFT total energy**: -12608.18731 a.u.
**Charge**: -2

Last column: Mulliken charge in e.
Geometry (Å):
Cd: -0.6518 -1.4279 1.0519  2.03
C: -2.9369 1.5214 2.2525  -1.24
As: -1.0695 1.0033 2.0603  0.40
C: -0.1491 2.6150 1.5523  -1.19
C: -0.5083 0.7804 3.8910  0.33
C: -1.4599 0.7760 4.9196  -0.51
C: -1.0901 0.3436 6.1756  -0.52
C: 0.2255 0.0246 6.4751  -0.89
C: 1.1945 0.0687 5.4618  -0.19
C: 0.8142 0.4568 4.1711  -0.43
As: 2.0293 0.4239 2.6027  0.92
C: 2.9706 2.1036 2.9992  -1.37
C: 3.4150 -0.8100 3.2306  -1.34
H: -3.0187 2.4387 2.8654  0.45
H: -3.4701 0.7191 2.7776  0.38
H: -3.4236 1.7711 1.2902  0.27
H: -0.0994 3.2972 2.4264  0.36
H: -0.7834 3.0357 0.8141  0.62
H: 0.8510 2.4594 1.1521  0.16
H: -2.4960 1.1266 4.7354  0.22
H: -1.8857 0.2862 6.9129  0.35
H: 0.5275 -0.2367 7.4997  0.36
H: 2.2183 -0.1656 5.7331  0.31
H: 3.5495 1.9584 3.9156  0.40
H: 2.2737 2.9326 3.0641  0.37
H: 3.6915 2.1830 2.2094  0.46
H: 3.8231 -0.4641 4.1756  0.46
H: 4.1752 -0.8453 2.4587  0.34
H: 2.9537 -1.7710 3.4212  0.30
Se: -1.6839 1.6626 -1.5325  -0.20
P: -2.7094 -0.1184 -1.9949  0.20
Se: -2.0162 -2.0278 -1.1504  -0.56
C: -4.5028 0.0123 -1.6255  0.75
C: -5.2705 1.0687 -2.1507  -0.37
C: -6.6409 1.1071 -2.0022  -0.68
C: -7.2713 0.0925 -1.2606  -0.42
C: -6.5326 -0.9566 -0.7234  -0.66
C: -5.1568 -1.0133 -0.9376  -0.33
C: -2.8447 -0.4884 -3.7963  0.61
C: -2.9874 0.5661 -4.7243  -0.45
C: -3.2534 0.2659 -6.0398  -0.65
C: -3.3596 -1.0465 -6.4438  -0.39
C: -3.1340 -2.0640 -5.5631  -0.57
C: -2.8713 -1.7957 -4.2505  -0.49
H: -4.7843 1.9032 -2.6248  0.34
H: -7.2602 1.9020 -2.3505  0.40
H: -8.3119 0.0876 -1.1579  0.42
H: -7.0112 -1.7324 -0.1761  0.44
H: -4.5662 -1.8054 -0.4285  0.15
H: -2.8926 1.5514 -4.3682  0.45
H: -3.4200 1.0826 -6.7413  0.36
H: -3.6201 -1.2295 -7.4849  0.33
H: -3.1097 -3.1102 -5.8609  0.37
H: -2.6623 -2.6054 -3.5384  0.21
O: -0.5472 -4.1667 6.9721  -0.68
C: -0.5569 -3.5486 5.9119  0.43
C: 0.5853 -3.3692 4.9194  0.29
O: 1.7524 -3.7073 5.1156  -0.77
C: -0.0359 -2.7881 3.7549  0.15
C: -1.3967 -2.4977 3.9702  0.49
O: -2.1002 -1.9843 3.0212  -1.00
C: -1.7790 -2.9344 5.3199  0.09
└──

Lu Xuan spent four spirit stones this time, adding to the three he'd previously paid as a deposit, obtaining a bottle of snake blood from the Grand Bounties Pavilion.

As soon as he sat down, Wu brought over a jug of deep-yellow brew and poured a cup for each of them.

"I noticed, Lu Daoist, there's been a second-grade defensive formation outside your courtyard. You really spare no expense..." remarked Wu.

Lu Xuan took a sip of the spirit brew, its taste rich and enduring.

"Great wine!" he exclaimed, setting down the cup.

"Wu Daoist, surely you're aware that the market is becoming increasingly dangerous. There have been instances of aberrant cultivators appearing, and recently, they even infiltrated the neighboring market's patrol guard, Wang Shan."

"Considering I encountered cultivator intrusions into my spiritual field long ago, and my entire wealth is tied to the spirit plants within, I've had to invest heavily to protect this foundation."

Lu Xuan casually explained.

Wu nodded. "Indeed, better safe than sorry."

"Here, let's continue drinking. This spirit wine is made from the gallbladder and bones of serpent-like monsters. It's not easy to come by on regular days."

"Is that so?" Lu Xuan picked up the cup, his hand freezing suddenly.

"A spirit wine made from serpent bones and gallbladders would require a large number of serpent-like monsters, right? Where do you get these gallbladders and bones from?" he inquired directly to Wu.

"Wu Daoist, I'd like to ask for advice on this matter. Where do you obtain the serpent bones and gallbladders for your brew? Is it from the Grand Bounties Pavilion or other shops, or perhaps from the independent markets?" he queried.


of those," Wu shook his head.

"It's hard to gather a substantial amount of the same species of serpent-like monsters from the independent markets, and the Grand Bounties Pavilion is too expensive. I acquire these from a good friend of mine."

"A friend?" Lu Xuan's eyes lit up.

"Yes, indeed. We've known each other for years. His family possesses a secret technique passed down through generations, specifically in capturing serpent-like monsters. Despite being at the sixth stage of Qi cultivation, with this secret technique, he can even kill second-grade serpent-like monsters."

"Can you introduce me to him? I urgently need a certain material from serpent-like monsters," Lu Xuan inquired.

"Of course," Wu promptly replied.
